-- begin --
The following is a calculated powder X-ray diffraction pattern of La5CeDy. It was derived from DFT lattice parameters and positions (GGA-PBE), using Cu Kα.

Main lines, by intensity (15° ≤ 2θ ≤ 90°):
| d (Å) | I/Imax | hkl |
| --- | --- | --- |
| 2.911 | 100 | 0 2 2 |
| 2.791 | 41 | 2 2 0 |
| 2.823 | 38 | 2 2 -1 |
| 2.809 | 31 | 2 0 -2 |
| 2.963 | 29 | 1 3 -1 |
| 2.717 | 25 | 2 0 1 |
| 2.615 | 22 | 0 4 0 |
| 3.083 | 21 | 1 3 0 |
| 3.950 | 15 | 1 1 1 |
| 1.676 | 14 | 4 0 -2 |

abc: 6.8513 10.4618 7.2774
angles: 90.00 105.61 90.00
Space group C2/m (No. 12)
Inequivalent atoms, fractional coordinates:
La 0.0000 0.0000 0.0000 [2 per cell]
La 0.1550 0.2937 0.2339 [8 per cell]
Ce 0.0000 0.5000 0.5000 [2 per cell]
Dy 0.0000 0.0000 0.5000 [2 per cell]


Starting from a PBE-relaxed structure, the powder X-ray diffraction pattern of PmAl6Fe3 was calculated for Cu Ka.

Cell and atoms:
```
PmAl6Fe3
1.0
2.707 1.563 6.393
-2.707 1.563 6.393
0.000 -3.125 6.393
Pm Al Fe
1 6 3
direct
0.000 0.000 0.000
0.104 0.600 0.600
0.402 0.402 0.901
0.402 0.901 0.402
0.600 0.104 0.600
0.600 0.600 0.104
0.901 0.402 0.402
0.339 0.339 0.339
0.671 0.671 0.671
0.861 0.861 0.861
```

Main lines, by angle (2θ = 10–90°):
2θ/deg	I_rel
13.9	67
19.5	29
33.1	68
36.0	79
38.7	41
42.4	32
43.8	100
54.8	28
66.6	27
69.5	24
-- stop --

Print the rows above verbatim.

The following is a calculated powder X-ray diffraction pattern of La5CeDy. It was derived from DFT lattice parameters and positions (GGA-PBE), using Cu Kα.

Main lines, by intensity (15° ≤ 2θ ≤ 90°):
| d (Å) | I/Imax | hkl |
| --- | --- | --- |
| 2.911 | 100 | 0 2 2 |
| 2.791 | 41 | 2 2 0 |
| 2.823 | 38 | 2 2 -1 |
| 2.809 | 31 | 2 0 -2 |
| 2.963 | 29 | 1 3 -1 |
| 2.717 | 25 | 2 0 1 |
| 2.615 | 22 | 0 4 0 |
| 3.083 | 21 | 1 3 0 |
| 3.950 | 15 | 1 1 1 |
| 1.676 | 14 | 4 0 -2 |

abc: 6.8513 10.4618 7.2774
angles: 90.00 105.61 90.00
Space group C2/m (No. 12)
Inequivalent atoms, fractional coordinates:
La 0.0000 0.0000 0.0000 [2 per cell]
La 0.1550 0.2937 0.2339 [8 per cell]
Ce 0.0000 0.5000 0.5000 [2 per cell]
Dy 0.0000 0.0000 0.5000 [2 per cell]


Starting from a PBE-relaxed structure, the powder X-ray diffraction pattern of PmAl6Fe3 was calculated for Cu Ka.

Cell and atoms:
```
PmAl6Fe3
1.0
2.707 1.563 6.393
-2.707 1.563 6.393
0.000 -3.125 6.393
Pm Al Fe
1 6 3
direct
0.000 0.000 0.000
0.104 0.600 0.600
0.402 0.402 0.901
0.402 0.901 0.402
0.600 0.104 0.600
0.600 0.600 0.104
0.901 0.402 0.402
0.339 0.339 0.339
0.671 0.671 0.671
0.861 0.861 0.861
```

Main lines, by angle (2θ = 10–90°):
2θ/deg	I_rel
13.9	67
19.5	29
33.1	68
36.0	79
38.7	41
42.4	32
43.8	100
54.8	28
66.6	27
69.5	24